USG breaks ground on outdoor classroom project

Sanjali De Silva | Senior Staff Photographer

Senior Vice President for Academic Affairs and Provost Professor of Mathematics Robin Forman and USG members break ground on the outdoor classroom project.

The sunny weather in New Orleans often encourages professors to hold class outside. Next fall, they won’t have to worry about students picking at grass during their lectures.

To provide students with a structured outdoor learning space, Tulane Undergraduate Student Government commissioned the creation of an outdoor classroom on the Pearson Patio on the Academic Quadrangle between Tilton Memorial Hall and the Norman Mayer building.

“The idea behind building an outdoor classroom is to give a little more structure to that, to give the opportunity to professors to still present via the blackboard in such a way that having class outside doesn’t limit their teaching capacity and they can both enjoy the pleasantness of nature and being outside as well as still being able to teach at their greatest capacity as they would in an indoor classroom,” USG Director of Sustainability John Alexander said.

The groundbreaking ceremony for Tulane’s outdoor classroom was held on Feb. 23 and featured speeches from Alexander, Provost Robin Foreman and Tyler Margaretten, USG Vice President for Finance.

What comes next are records of crystals, not part of the entry:
'''
{
  "formula": "SrMn2O3",
  "functional": "GGA+U",
  "state": "optimized geometry",
  "volume_a3_per_atom": 16.31,
  "final_energy_ev_per_cell": -85.1,
  "lattice": [[-1.309, -2.957, 2.221], [2.267, -2.918, -2.548], [8.845, 1.073, 6.641]],
  "species": ["Mn", "Mn", "Mn", "Mn", "Sr", "Sr", "O", "O", "O", "O", "O", "O"],
  "frac_coords": [[0.931, 0.000, 0.661], [0.069, 0.500, 0.161], [0.069, 0.500, 0.839], [0.931, 0.000, 0.339], [0.472, 0.500, 0.500], [0.528, 0.000, 0.000], [0.014, 0.500, 0.658], [0.321, 0.500, 0.000], [0.679, 0.000, 0.500], [0.014, 0.500, 0.342], [0.986, 0.000, 0.158], [0.986, 0.000, 0.842]]
}


# PmSm8Sc5 | the Alexandria database | GGA-PBE | optimized geometry
# symmetry = I-4
# total moment = 0.000 μB/atom
# DOS at the Fermi energy = 1.574 states/eV per atom
# total energy = -70.61 eV per cell
# density = 5966 kg/m³
# ΔE_f = 0.2537 eV per atom
data_PmSm8Sc5
_cell_length_a 8.295
_cell_length_b 8.295
_cell_length_c 8.295
_cell_angle_alpha 111.54
_cell_angle_beta 111.54
_cell_angle_gamma 105.41
_space_group_name_H-M_alt 'P 1'
_space_group_IT_number 1
_space_group_name_Hall 'P 1'
loop_
_atom_site_label
_atom_site_type_symbol
_atom_site_fract_x
_atom_site_fract_y
_atom_site_fract_z
Pm1 Pm 0.000 0.000 0.000
Sm1 Sm 0.094 0.327 0.421
Sm2 Sm 0.173 0.415 0.896
Sm3 Sm 0.327 0.906 0.233
Sm4 Sm 0.519 0.277 0.104
'''

“This classroom is going to completely change the way the classroom dynamic works at Tulane for professors who want to have class outside on days that are beautiful,” Michael Morton, USG vice president for academic affairs, said.

In fall of 2016, Rebecca Evans, a USG A.B. Freeman School of Business senator, and Chesley McCarty, the former vice president of academic affairs, came up with the idea for an outdoor classroom. They approached a Tulane student organization that specializes in design thinking, Design for America.

Design for America began interviewing students, professors and others to determine the scope of the project. This process included finding out what people wanted, if it was wanted, researching other existing examples on college campuses across the country and determining a path for the project.

Student government positions transitioned at the beginning of the school year. Alexander became the director of sustainability and Morton took over for McCarty as USG vice president for academic affairs.

There was much discussion regarding different architectural components on campus throughout the 2017 Spring Semester. Alexander and McCarty spoke frequently with campus planning and its former architects, Amber Beezley and Christina Carlisle.

“They really developed the idea and gave it more of a physical being, which is what we didn’t have before,” Alexander said.

At the end of Spring 2017 and going into Fall 2017, the design was finalized, and the costs for the classroom were estimated at $99,000.

The design of the outdoor classroom is bench seating and tables for 20-30 students, which is the typical size of a small lecture class. In addition, it will include a blackboard in the front of the classroom.

“With the Academic Quad, there are a lot of issues with matching the look of it because it is the historic part of Tulane,” Alexander said. “So, it is going to be matched stone-wise and material-wise to the Academic Quad to really fit in with the ambiance of that area.”

USG worked to team up with the alumni association on this project. Throughout the second half of the semester, USG explored ideas to expand the project with the alumni association and looked into ways to unite the student body with the alumni to create a cross-generational effect at Tulane.

outdoor classroom
Sanjali De Silva | Senior Staff Photographer
USG President Sam Levin played a key role in the creation of the outdoor classroom.

After Margaretten authored legislation to fund the project, it allowed students to begin building the outdoor classroom in February.

“It has been a very quick process when you think about typical campus facilities projects, but it has really had a lot of effort all throughout,” Alexander said.

Through this project, which was completely student-run, students took ownership of the educational mission.

_What comes next are crystal structures, not part of the text_
┌──
This record from the Alexandria database describes a relaxed structure of BaTaFe2O8. The functional is GGA+U.

size of the total moment = 7.000 μB per formula unit
calculated total energy = -7.07 eV per atom

Unit cell a=5.5666 b=5.5666 c=7.3215 alpha=90.00 beta=90.00 gamma=120.00
Last column: magnetic moment on the atom in μB.
Atoms (fractional coordinates):
Ba1 0.0000 0.0000 0.0000  0.01
Ta1 0.0000 0.0000 0.5000  0.12
Fe1 0.6667 0.3333 0.2678  3.59
Fe2 0.3333 0.6667 0.7322  3.59
O1 0.3333 0.6667 0.9656  -0.14
O2 0.3140 0.2319 0.3345  -0.02
O3 0.7681 0.0822 0.3345  -0.02
O4 0.6667 0.3333 0.0344  -0.14
O5 0.2319 0.9178 0.6655  -0.02
O6 0.6860 0.7681 0.6655  -0.02
O7 0.0822 0.3140 0.6655  -0.02
O8 0.9178 0.6860 0.3345  -0.02

----------

Entry from Alexandria via LeMat-Bulk: a relaxed structure of AcDyTa2O8 (PBE-GGA).

Properties
Uncorrected energy: -9.22 eV/atom
V: 169.2 Å³ per cell
Density of states at the Fermi level: 0.000 states/eV/atom
SG: I-4 (82)
Magnetic moment: 0.000 μB/atom
Uncorrected formation energy: -3.215 eV per atom

a = 6.940 Å, b = 6.940 Å, c = 6.940 Å
α = 134.16°, β = 134.16°, γ = 66.83°
Fractional positions:
1 Ac 0.000 0.000 0.000
2 Dy 0.250 0.750 0.500
3 Ta 0.500 0.500 0.000
4 Ta 0.750 0.250 0.500
5 O 0.009 0.088 0.432
6 O 0.259 0.659 0.099
7 O 0.341 0.441 0.601
8 O 0.424 0.991 0.080
9 O 0.559 0.160 0.901
10 O 0.656 0.576 0.568
11 O 0.840 0.741 0.399
12 O 0.912 0.344 0.920



Entry from Alexandria via LeMat-Bulk: a relaxed structure of AcDy2TaO8 (PBE-GGA).

Properties
Uncorrected energy: -8.30 eV/atom
V: 186.4 Å³ per cell
Density of states at the Fermi level: 0.634 states/eV/atom
SG: Cmmm (65)
Magnetic moment: 0.120 μB/atom
Uncorrected formation energy: -2.897 eV per atom

a = 5.076 Å, b = 5.076 Å, c = 7.234 Å
α = 90.00°, β = 90.00°, γ = 90.39°
Fractional positions:
1 Ac 0.000 0.000 0.000
2 Dy 0.500 0.500 0.265
3 Dy 0.500 0.500 0.735
4 Ta 0.000 0.000 0.500
5 O 0.188 0.812 0.296
6 O 0.188 0.812 0.704
7 O 0.283 0.283 0.500
8 O 0.328 0.328 0.000
9 O 0.672 0.672 0.000
10 O 0.717 0.717 0.500
11 O 0.812 0.188 0.296
12 O 0.812 0.188 0.704



Question: Which of these has the highest uncorrected formation energy?
Answer: AcDy2TaO8
└──

“Working with Chesley and now with Michael, I have been extraordinarily impressed by their commitment to the academic mission, and if you have only been here you don’t realize how rare that is for a student government to do this,”  Forman said.

The outdoor classroom should be completed by the end of the Spring 2018 Semester.

The outdoor classroom will provide a space for students to learn while enjoying the beautiful weather that living in New Orleans offers.

Inserted here: calculated crystals:
+++
The following is a PBE calculation of SnIr3N after structural relaxation, from Alexandria.

The structure in CIF format:
```
data_SnIr3N
_cell_length_a 4.949
_cell_length_b 4.949
_cell_length_c 4.949
_cell_angle_alpha 90.00
_cell_angle_beta 90.00
_cell_angle_gamma 90.00
_symmetry_space_group_name_H-M 'P 1'
_symmetry_Int_Tables_number 1
loop_
_symmetry_equiv_pos_as_xyz
'x,y,z'
loop_
_atom_site_label
_atom_site_type_symbol
_atom_site_fract_x
_atom_site_fract_y
_atom_site_fract_z
Ir1 Ir 0.000 0.500 0.000
Ir2 Ir 0.000 0.000 0.500
Ir3 Ir 0.500 0.000 0.000
Sn1 Sn 0.000 0.000 0.000
N1 N 0.500 0.500 0.500
```

Magnetic moment = 1.055 μB/atom
Electronic total energy = -23.55 eV for the cell shown
Symmetry = Pm-3m
Offset from the most stable computed form = 2426 meV per atom
Density = 9716 kg/m3

~~~~~

1.
This record from the Alexandria database describes Li5Ac2In5 after structural relaxation. The functional is PBE.

## Properties
As for the density: 5.82 g/cm3. Its space-group type is Pmmm (47). Its formation energy is -334 kJ/mol of formula units.

Lattice parameters (Å, degrees): 4.8309 5.6046 11.1929 90.00 90.00 90.00
With the nearest neighbours (Å) after each atom.
Positions (direct):
Li1 0.5000 0.5000 0.5000  4 In 3.13, 4 Li 3.16
Li2 0.5000 0.7474 0.2466  2 Li 2.77-2.83, 5 In 2.87-3.10
Li3 0.5000 0.2526 0.7534  2 Li 2.77-2.83, 5 In 2.87-3.10
Li4 0.5000 0.2526 0.2466  2 Li 2.77-2.83, 5 In 2.87-3.10
Li5 0.5000 0.7474 0.7534  2 Li 2.77-2.83, 5 In 2.87-3.10
Ac1 0.0000 0.5000 0.0000  10 In 3.51-3.70, 8 Li 3.92
Ac2 0.0000 0.0000 0.5000  6 In 3.43-3.48, 4 Li 3.70
In1 0.0000 0.5000 0.3228  6 Li 2.91-3.13, 2 In 3.18
In2 0.0000 0.0000 0.8112  4 Li 2.87, 4 In 3.18-3.21
In3 0.0000 0.0000 0.1888  4 Li 2.87, 4 In 3.18-3.21
In4 0.0000 0.5000 0.6772  6 Li 2.91-3.13, 2 In 3.18
In5 0.5000 0.0000 0.0000  4 Li 3.10, 4 In 3.21

2.
This record from the Alexandria database describes Tb14ThMg after structural relaxation. The functional is PBE.

## Properties
As for the density: 8.19 g/cm3. Its space-group type is P4/mmm (123). Its formation energy is 21 kJ/mol of formula units.

Lattice parameters (Å, degrees): 7.0770 7.0770 10.0461 90.00 90.00 90.01
With the nearest neighbours (Å) after each atom.
Positions (direct):
Tb1 0.3750 0.6250 0.5000  12 Tb 3.54-3.58
Tb2 0.8750 0.1250 0.5000  12 Tb 3.54
Tb3 0.8746 0.6249 0.0000  8 Tb 3.53, 2 Mg 3.54, 2 Th 3.54
Tb4 0.8751 0.6250 0.5000  12 Tb 3.54-3.56
Tb5 0.3751 0.1254 0.0000  8 Tb 3.53, 2 Mg 3.54, 2 Th 3.54
Tb6 0.3750 0.1249 0.5000  12 Tb 3.54-3.56
Tb7 0.6281 0.8781 0.7520  10 Tb 3.49-3.58, 1 Th 3.51, 1 Mg 3.55
Tb8 0.6281 0.8781 0.2480  10 Tb 3.49-3.58, 1 Th 3.51, 1 Mg 3.55
Tb9 0.1219 0.3719 0.7520  10 Tb 3.49-3.58, 1 Th 3.51, 1 Mg 3.55
Tb10 0.1219 0.3719 0.2480  10 Tb 3.49-3.58, 1 Th 3.51, 1 Mg 3.55
Tb11 0.1220 0.8780 0.7521  10 Tb 3.50-3.58, 1 Th 3.51, 1 Mg 3.55
Tb12 0.1220 0.8780 0.2479  10 Tb 3.50-3.58, 1 Th 3.51, 1 Mg 3.55
Tb13 0.6281 0.3719 0.7519  10 Tb 3.49-3.58, 1 Th 3.51, 1 Mg 3.55
+++
The calculated crystals stop here:

“On the student side, I know students like to go outside, I like to go outside, and I think having a more structured opportunity for that where professors are more likely to use it will just benefit the learning process so much because you will just be in a more comfortable learning environment,” Alexander said.